Assessment PLANNING

TASKS 1, 2 & 3

Organising Works 2015Last Updated: 11.12.2014 Page 1 of 14pages

Part A: (To be completed by the Participant)


REMINDER: Your signature on your Application Enrolment Form:

  • Declared that the information you provide for this assessment is completely your own work (excepting any third party reports)
  • Declared that you understand this information will be used for assessment of competency against nationally accredited unit/s of competency.
  • Gave permission to ACTU Education Inc to provide required information about your enrolment to relevant bodies

DUE: Course 5

Note: Keep a copy of your plan for completion of Task 4 (review notes) &Task 5 (formal evaluation) due in course 10.


Keep a copy of your assessment. The original will be kept on file by ACTU Organising Centre as evidence of you meeting the required standard of competency.

Feedback and assessment results will be available no earlier than 4 weeks after submission.

Part B: (To be completed by ACTU)

-- What comes next are records of molecules, not part of the article --
<<<
1.
>>>
-- So much for the records of molecules --

Project: / Task 1: Research your target site.
Task 2: Analyse the information you have researched (includes mapping)
Task 3: 12 week (3month) plan for organising in your target site
Date received by ACTU:
Assessor’s Name:
Outcome: / Date: / Feedback Notes: WRITTEN feedback MUST be given to participants about assessment activity outcomes. Write feedback below or give feedback via email/s and attach copies.
Not Yet Competent
Assessor Signature:
Or attach email from Assessor
Union RESEARCH as at _ _ / _ _ / _ _
Number of Members
Number of Potential Members
Any important groupings?
Number of existing leaders
(Delegates, shop stewards, branch officials etc)
Names of existing leaders
Experience of existing leaders
Award that applies
Agreements/Individual Agreements/Contacts in place?
Committees in place (include OHS if any)
How often do committees meet?
Give a short history of workplace/disputes?
Employer RESEARCH as at _ _ / _ _ / _ _
Name of Employer
How old is the company?
Last three years profit/loss
Has the company grown or shrunk in the last three years? By how much?
History with the union? What has their attitude been towards the union?
Name of Manager who you need to target to make the decisions you need made?
Who do they get industrial relations advice from? E.g. Australian Industry Group, Chamber of Commerce, Law Firm?
Where do they sit in the industry are they amedium sized player or a big player or a small player?
What is happening in the industry – any new trends that may lead to outsourcing, downsizing or growth?
Right of Entry
MAPPING RESEARCH as at _ _ / _ _ / _ _
Which mapping style will you choose / Floor plan
Combination of …
Checklist of mapping info / Members
Potential Members
Hostile workers
Potential Leaders/Activists
Any particular group of workers e.g. women, people from a diverse background?
Have you identified who are supporters and who are hostile?
Do you need to identify departments or different occupational groupings?
Do you need to know about shift changes?
ISSUE RESEARCH as at _ _ / _ _ / _ _
How will you research collective issues at this worksite? / Surveys
Systematic organising conversations at workplace
Systematic organising conversations via home-visits or other
Listening Campaign/workplace meetings
What issues do you know already exist or do you think will emerge via your issue research?
Of the issues that already exist has any other union official or workplace leader attempted to solve?
Has there been any member involvement in the issue to date?
INSTRUCTIONS: Complete your analysis of the issues, your mapping, the situation and your power by filling out the tablesbelow
ISSUE ANALYSIS as at _ _ / _ _ / _ _
Will winning this issue result in a real improvement in people’s lives? List how that improvement will affect workers?
How will winning this issue give people a sense of their own power?
How will winning this issue alter the relations of power at your target worksite?
Why is winning this issue worthwhile?
Is this issue winnable in its entirety – what might be the complications?
What method did you use to test if this issue is widely felt (by lots of people) and deeply felt (easy to agitate around) at this workplace)?
What were the results and how does this demonstrate the issue is widely and deeply felt?
How are you framing this issue to ensure it is easy to understand?
Who is the decision maker who you will target?
Do you have a clear time frame that works for you? Outline.
Could this issue be a divisive one? Or is it a unifying issue – explain your answer.
How will you use organising around this issue to build leadership?
How will you use organising around this issue to build organisation up for the next campaign?
Is this issue consistent with your unions’ values and vision? Explain why you think so.
MAPPING ANALYSIS as at _ _ / _ _ / _ _
What does your map tell you about your areas of strength in terms of organisation?
What does your map tell you about areas of weakness for the union in terms of organisation?
What other patterns do you see that you think might influence organising strategy?
SITUATION ANALYSIS (SWOT) as at _ _ / _ _ / _ _
STRENGTHS (internal union analysis) / WEAKNESSES (internal union analysis)
OPPORTUNITIES (external to the union) / THREATS (external to the union)

Assessment PLANNING

TASKS 1, 2 & 3

Organising Works 2015Last Updated: 11.12.2014 Page 1 of 14pages

POWER ANALYSIS as at _ _ / _ _ / _ _
MEMBER ACTIVITY  / High Member Activity but by very few members / High Member Activity by many members
Low levels of member Activity by very few members / Low Levels of Member Activity by many members
INSTRUCTIONS: Set 5 goals (one per box) for your target worksite then develop a plan using this table for 3 months of organising activity at your worksite
Goals / Target / Objective / Strategy / Tactic
What you are aiming to achieve by the end of your campaign / The decision maker/s who can deliver your goal / The specific, measurable, achievable (what resources do you have), realistic and time bound outcome that will realise your goal. / The ‘line of attack’ or approach you intend to use to deliver your goal / The specific actions/tasks that you will use in keeping with your strategy
E.g. Grow the number of members of XYZ union / E.g. Potential members / E.g. 75 net new members by 31 August / E.g. Organising Strategy / E.g. Conduct organising conversations across department x & y with activist Jo Blo in week 2 of campaign